Tag: David Gorski
Remembering Wallace Sampson
(Next to the piece, the page also holds crystal structures)
DFT (GGA-PBE) results for a relaxed structure of PaGaNi.

The space group is F-43m (No. 216) and the conventional cell measures 6.206, 6.206 and 6.206 Å, with angles of 90.00, 90.00 and 90.00 degrees. Symmetry generates all atoms from Pa at (0.000, 0.000, 0.000), Ga at (0.000, 0.000, 0.500) and Ni at (0.250, 0.250, 0.250).

Its calculated formation energy is -0.42 eV/atom. As for the density: 9.99 g/cm3. The value obtained for the uncorrected energy is -6.521 eV/atom. The spin magnetization comes out at 0.000 μB per atom. Its calculated volume is 59.76 Å³/f.u.

***

DFT (GGA-PBE) results for a relaxed structure of Pa2GaNi9.

The space group is R-3m (No. 166, hexagonal axes) and the conventional cell measures 4.8419, 4.8419 and 24.5295 Å, with angles of 90.00, 90.00 and 120.00 degrees. Symmetry generates all atoms from Pa at (0.0000, 0.0000, 0.1344), Ga at (0.0000, 0.0000, 0.0000), Ni at (0.0000, 0.0000, 0.3329), Ni at (0.0000, 0.0000, 0.5000) and Ni at (0.0013, 0.5007, 0.9168).

Its calculated formation energy is -0.26 eV/atom. As for the density: 10.60 g/cm3. The value obtained for the uncorrected energy is -6.426 eV/atom. The spin magnetization comes out at 0.000 μB per atom. Its calculated volume is 166.01 Å³/f.u.

* * * * *

Entry 1:
The following is a DFT calculation (PBE-GGA) of a relaxed structure of Np3Tl3CuS8.

* SG: C2/m, No. 12
* formation energy from raw total energies: -12.841 eV/f.u.
* size of the total moment: 8.99 μB/cell
* D(E_F): 27.166 states/eV/f.u.
* ρ: 6.79 Mg/m³

a b c (Å): 7.8193 7.8193 8.8243
angles (deg): 116.27 116.27 60.07
Last column: nearest neighbours and their distance in Å.
Element x y z (fractional)
Np: 0.0000 0.0000 0.0000  6 S 2.67-2.71
Np: 0.0000 0.5000 0.0000  6 S 2.67-2.71
Np: 0.5000 0.0000 0.0000  6 S 2.67-2.71
Tl: 0.0000 0.5000 0.5000  6 S 3.22-3.27
Tl: 0.5000 0.0000 0.5000  6 S 3.22-3.27
Tl: 0.5000 0.5000 0.5000  6 S 3.21-3.27
Cu: 0.5000 0.5000 0.0000  6 S 2.65-2.67
S: 0.2299 0.7290 0.1876  1 Cu 2.67, 2 Np 2.67
S: 0.2328 0.2328 0.1983  3 Np 2.71
S: 0.2710 0.7701 0.8124  1 Cu 2.67, 2 Np 2.67
S: 0.2724 0.2724 0.8134  1 Cu 2.65, 2 Np 2.67
S: 0.7276 0.7276 0.1866  1 Cu 2.65, 2 Np 2.67
S: 0.7290 0.2299 0.1876  1 Cu 2.67, 2 Np 2.67
S: 0.7672 0.7672 0.8017  3 Np 2.71
S: 0.7701 0.2710 0.8124  1 Cu 2.67, 2 Np 2.67


Entry 2:
The following is a DFT calculation (PBE-GGA) of a relaxed structure of NpTl2CuS4.

* SG: P2/m, No. 10
* formation energy from raw total energies: -4.958 eV/f.u.
* size of the total moment: 1.99 μB/cell
* D(E_F): 5.612 states/eV/f.u.
* ρ: 7.34 Mg/m³

a b c (Å): 6.1593 4.0474 7.9063
angles (deg): 90.00 106.03 90.00
Last column: nearest neighbours and their distance in Å.
Element x y z (fractional)
Np: 0.0000 0.0000 0.0000  6 S 2.52-2.70
Tl: 0.0000 0.5000 0.5000  6 S 3.16-3.30
Tl: 0.5000 0.0000 0.5000  6 S 3.13-3.27
Cu: 0.5000 0.5000 0.0000  2 S 2.37
S: 0.2512 0.0000 0.7960  1 Np 2.52, 2 Cu 2.77
S: 0.2505 0.5000 0.1807  1 Cu 2.37
S: 0.7488 0.0000 0.2040  1 Np 2.52, 2 Cu 2.77
I’m sad to report that Dr. Wallace (Wally) Sampson, one of the original authors at Science-Based Medicine, passed away on May 25th at the age of 85. Wally was a valued member of the SBM community, a mentor to many of us, and a tireless crusader against health fraud and pseudoscience in medicine. He carried the banner of defending science and reason...
Making One’s Own Reality – Food Babe Edition
The default mode of human activity is to construct our own internal model of reality based upon our desires, biases, flawed perceptions, memories, and reasoning, and received narratives from the culture in which we live. That model of reality is then reinforced by confirmation bias and jealously defended. But we also have the capacity to transcend this pathway of least resistance. Philosophy...
More shameless self-promotion that is, I hope, at least entertaining
Three weeks ago, I gave a talk to the National Capital Area Skeptics at the National Science Foundation in Arlington, VA. The topic was one near and dear to my heart, namely quackademic medicine. I was informed the other day that the video had finally been posted. Unfortunately, there were some problems with the sound in a couple of places, which our...
A little Swedish interlude
I’ve been remiss in not mentioning this; so I’ll try to make up for it now. Recently, I did an interview on the Skeptikerpodden, a Swedish podcast. Unless you speak Swedish, you won’t understand much else of the podcast, but don’t worry. I don’t speak Swedish either, which is why my interview is in English. It starts at around the 44:00 mark.
Steve Novella vs. Julian Whitaker on vaccines at FreedomFest
While I and some of the others in the SBM crew were at The Amazing Meeting (TAM) in Las Vegas, our fearless leader Steve Novella got an interesting challenge: To debate Dr. Julian Whitaker about vaccines at a libertarian confab known as FreedomFest, which just so happened to be going on up the strip a piece at the same time TAM was....
For Good Reason…
Unrelated to this text: data records:
┌──
Compound: AcMgCuGe2
Source: the Alexandria database
Functional: GGA-PBE
Structure: relaxed

Cell: 4.3952 4.3952 11.1637 Å, 90.00 90.00 90.00°
Last column: nearest neighbours and their distance in Å.
Space group I-4m2 (No. 119)
Unique sites:
Ac 0.0000 0.0000 0.0000 (multiplicity 2)  8 Ge 3.37, 4 Mg 3.55, 4 Cu 3.55
Mg 0.0000 0.5000 0.2500 (multiplicity 2)  4 Ge 2.65
Cu 0.0000 0.5000 0.7500 (multiplicity 2)  4 Ge 2.65
Ge 0.0000 0.0000 0.3827 (multiplicity 4)  1 Ge 2.62, 2 Mg 2.65, 2 Cu 2.65

Computed properties:
energy of formation from the pure elements: -2.40 eV per formula unit
total magnetization: 0.00 μB per cell
E: -42.9 eV for the cell shown

Compound: Ac3Mg2Cu2Ge4
Source: the Alexandria database
Functional: GGA-PBE
Structure: relaxed

Cell: 4.4668 4.4668 16.1490 Å, 90.00 90.00 120.00°
Last column: nearest neighbours and their distance in Å.
Space group P-3m1 (No. 164)
Unique sites:
Ac 0.0000 0.0000 0.0000 (multiplicity 1)  6 Ge 3.34, 6 Cu 3.38
Ac 0.0000 0.0000 0.2688 (multiplicity 2)  6 Ge 3.18-3.41, 3 Cu 3.36
Mg 0.3333 0.6667 0.5585 (multiplicity 2)  4 Ge 2.74-2.81
Cu 0.3333 0.6667 0.1354 (multiplicity 2)  3 Ge 2.58
Ge 0.3333 0.6667 0.3844 (multiplicity 2)  4 Mg 2.74-2.81
Ge 0.3333 0.6667 0.8690 (multiplicity 2)  3 Cu 2.58

Computed properties:
energy of formation from the pure elements: -5.86 eV per formula unit
total magnetization: 0.00 μB per cell
E: -48.0 eV for the cell shown

Compound: Ac2MnCu3Ge4
Source: the Alexandria database
Functional: GGA-PBE
Structure: relaxed

Cell: 4.3742 4.3742 10.3527 Å, 90.00 90.00 90.00°
Last column: nearest neighbours and their distance in Å.
Space group P-4m2 (No. 115)
Unique sites:
Ac 0.0000 0.5000 0.2463 (multiplicity 2)  6 Cu 3.34-3.42, 8 Ge 3.35-3.36, 2 Mn 3.42
Mn 0.0000 0.0000 0.5000 (multiplicity 1)  4 Ge 2.57
Cu 0.0000 0.5000 0.8754 (multiplicity 2)  5 Ge 2.54
Cu 0.5000 0.5000 0.5000 (multiplicity 1)  4 Ge 2.57
Ge 0.0000 0.0000 0.0000 (multiplicity 1)  4 Cu 2.54
Ge 0.0000 0.5000 0.6299 (multiplicity 2)  3 Cu 2.54-2.57, 2 Mn 2.57
Ge 0.5000 0.5000 0.0000 (multiplicity 1)  4 Cu 2.54

Computed properties:
energy of formation from the pure elements: -4.62 eV per formula unit
total magnetization: 3.98 μB per cell
E: -52.8 eV for the cell shown

Compound: Ac2MnCu4Ge3
Source: the Alexandria database
Functional: GGA-PBE
Structure: relaxed

Cell: 4.3463 4.3463 10.2694 Å, 90.00 90.00 90.00°
Last column: nearest neighbours and their distance in Å.
Space group P-4m2 (No. 115)
Unique sites:
Ac 0.0000 0.5000 0.2440 (multiplicity 2)  6 Ge 3.30-3.41, 8 Cu 3.32-3.34, 2 Mn 3.41
Mn 0.0000 0.0000 0.5000 (multiplicity 1)  4 Cu 2.54
Cu 0.0000 0.0000 0.0000 (multiplicity 1)  4 Ge 2.53
Cu 0.0000 0.5000 0.6286 (multiplicity 2)  3 Ge 2.51-2.54, 2 Mn 2.54
Cu 0.5000 0.5000 0.0000 (multiplicity 1)  4 Ge 2.53
Ge 0.0000 0.5000 0.8734 (multiplicity 2)  5 Cu 2.51-2.53
Ge 0.5000 0.5000 0.5000 (multiplicity 1)  4 Cu 2.54

Computed properties:
energy of formation from the pure elements: -3.50 eV per formula unit
└──
Back to the text:
This one crept up on me by surprise. You see, I recorded an interview with D.J. Grothe, President of the James Randi Educational Foundation and host of the podcast For Good Reason back in November. I wasn’t sure when it would appear. Well, it turns out that it popped up on my iTunes podcast feeds sometime over the last few days. (It’s...
_Crystal structures from another source follow_
=====
[1]
# AlCuAg2

AlCuAg2 after structural relaxation (PBE, Alexandria).

Computed properties:
M_tot, μB per formula unit: 0.00
Energy relative to the elements, eV per atom: -0.038
Space group: Imm2, No. 44
Density, Mg/m³: 8.1
Fermi-level density of states, states/eV per cell: 0.96

a = 5.2425 Å, b = 5.2425 Å, c = 5.2425 Å
α = 145.39°, β = 129.11°, γ = 63.00°
Last column: nearest neighbours and their distance in Å.
Fractional coordinates of all 4 atoms:
1 Cu 0.2642 0.7642 0.5000  2 Al 2.52, 6 Ag 2.74-2.75
2 Ag 0.0118 0.0118 0.0000  2 Cu 2.74, 4 Al 2.75, 4 Ag 2.90-3.03
3 Ag 0.7383 0.2383 0.5000  2 Al 2.74, 4 Cu 2.75, 4 Ag 2.90-3.03
4 Al 0.4857 0.4857 0.0000  2 Cu 2.52, 6 Ag 2.74-2.75

***

[2]
# AlCuAg2

AlCuAg2 after structural relaxation (PBE, Alexandria).

Computed properties:
M_tot, μB per formula unit: 0.00
Energy relative to the elements, eV per atom: 0.005
Space group: F-43m, No. 216
Density, Mg/m³: 8.0
Fermi-level density of states, states/eV per cell: 1.65

a = 4.4764 Å, b = 4.4764 Å, c = 4.4764 Å
α = 60.00°, β = 60.00°, γ = 60.00°
Last column: nearest neighbours and their distance in Å.
Fractional coordinates of all 4 atoms:
1 Cu 0.2500 0.2500 0.2500  4 Al 2.74, 4 Ag 2.74
2 Ag 0.0000 0.0000 0.0000  4 Cu 2.74, 4 Ag 2.74
3 Ag 0.7500 0.7500 0.7500  4 Ag 2.74, 4 Al 2.74
4 Al 0.5000 0.5000 0.5000  4 Cu 2.74, 4 Ag 2.74

***

[3]
# Al2CuAg

Al2CuAg after structural relaxation (PBE, Alexandria).

Computed properties:
M_tot, μB per formula unit: 0.00
Distance to the lowest polymorph of the same formula, meV/atom: 0
Energy relative to the elements, eV per atom: -0.079
Space group: P4/mmm, No. 123
Density, Mg/m³: 6.1
Fermi-level density of states, states/eV per cell: 1.35

a = 2.8646 Å, b = 2.8646 Å, c = 7.4757 Å
α = 90.00°, β = 90.00°, γ = 90.00°
Last column: nearest neighbours and their distance in Å.
Fractional coordinates of all 4 atoms:
1 Cu 0.5000 0.5000 0.2500  8 Al 2.61, 4 Cu 2.86
2 Ag 0.5000 0.5000 0.7500  4 Ag 2.86, 8 Al 2.92
3 Al 0.0000 0.0000 0.0306  4 Cu 2.61, 4 Al 2.86, 4 Ag 2.92
4 Al 0.0000 0.0000 0.4694  4 Cu 2.61, 4 Al 2.86, 4 Ag 2.92

***

[4]
# AlCu2Ag

AlCu2Ag after structural relaxation (PBE, Alexandria).

Computed properties:
M_tot, μB per formula unit: 0.00
Energy relative to the elements, eV per atom: -0.056
Space group: C2/m, No. 12
Density, Mg/m³: 7.6
Fermi-level density of states, states/eV per cell: 0.67

a = 4.7615 Å, b = 4.7615 Å, c = 4.5424 Å
α = 73.94°, β = 73.94°, γ = 35.25°
Last column: nearest neighbours and their distance in Å.
Fractional coordinates of all 4 atoms:
1 Cu 0.0104 0.0104 0.9847  3 Al 2.57-2.86, 4 Cu 2.63-2.77, 3 Ag 2.73-2.78
2 Cu 0.4896 0.4896 0.5153  3 Al 2.57-2.86, 4 Cu 2.63-2.77, 3 Ag 2.73-2.78
3 Ag 0.2500 0.2500 0.2500  4 Al 2.69, 6 Cu 2.73-2.78, 2 Ag 2.88
4 Al 0.7500 0.7500 0.7500  6 Cu 2.57-2.86, 4 Ag 2.69

***

[5]
# AlCu2Ag2

AlCu2Ag2 after structural relaxation (PBE, Alexandria).

Computed properties:
M_tot, μB per formula unit: 0.00
=====
The 2010 Lorne Trottier Public Science Symposium
I really have to give those guys at McGill University’s Office for Science and Society credit. They’re fast. Remember how I pointed out that I’ve been away at the Lorne Trottier Public Science Symposium? This year, the theme was Confronting Pseudoscience: A Call to Action, and I got to share the stage with Michael Shermer, Ben Goldacre, and, of course, our host,...
At the Lorne Trottier Symposium…
In lieu of a proper post, please instead accept this announcement of my appearance at the 2010 Lorne Trottier Public Science Symposium in Montreal!